**Request**
Your job: restate everything below verbatim.

**Entries**
# NaCaV

A geometry-optimized NaCaV structure (PBE-GGA, the Alexandria database).

Cell lengths 5.7190, 5.7190, 11.7961 Å; angles 90.00, 90.00, 120.00 degrees
With the nearest neighbours (Å) after each atom.
Sites, in units of the cell vectors:
V 0.0000 0.0000 0.5000  2 Ca 2.95
V 0.0000 0.0000 0.0000  2 Ca 2.95
Ca 0.0000 0.0000 0.7500  2 V 2.95, 3 Na 3.30
Ca 0.0000 0.0000 0.2500  2 V 2.95, 3 Na 3.30
Na 0.6667 0.3333 0.7500  3 Ca 3.30
Na 0.3333 0.6667 0.2500  3 Ca 3.30

Output
* SG: P6_3/mmc
* V: 55.7 A^3/atom
* formation enthalpy at 0 K: 1.76 eV/atom
* distance to the lowest polymorph of the same formula: 431 kJ/mol of formula units

# CdOsPb2

A geometry-optimized CdOsPb2 structure (PBE-GGA, the Alexandria database).

Cell lengths 10.6816, 10.6816, 10.6816 Å; angles 17.71, 17.71, 17.71 degrees
With the nearest neighbours (Å) after each atom.
Sites, in units of the cell vectors:
Cd 0.2500 0.2500 0.2500  6 Cd 3.29, 6 Pb 3.64
Pb 0.0152 0.0152 0.0152  3 Os 2.87
Pb 0.4848 0.4848 0.4848  3 Os 2.87
Os 0.7500 0.7500 0.7500  6 Pb 2.87

Output
* SG: R-3m
* V: 24.6 A^3/atom
* formation enthalpy at 0 K: 0.56 eV/atom

# Li2CaTiO4

A geometry-optimized Li2CaTiO4 structure (PBE-GGA, the Alexandria database).

Cell lengths 5.2012, 5.0400, 5.0400 Å; angles 86.28, 58.94, 58.94 degrees
With the nearest neighbours (Å) after each atom.
Sites, in units of the cell vectors:
Ti 0.0000 0.5000 0.5000  4 O 1.84
O 0.5808 0.5640 0.8552  1 Ti 1.84, 2 Li 2.00
O 0.4192 0.1448 0.4360  1 Ti 1.84, 2 Li 2.00
O 0.0000 0.8552 0.5640  1 Ti 1.84, 2 Li 2.00
O 0.0000 0.4360 0.1448  1 Ti 1.84, 2 Li 2.00
Ca 0.0000 0.0000 0.0000  4 O 2.36
Li 0.5000 0.2500 0.7500  4 O 2.00
Li 0.5000 0.7500 0.2500  4 O 2.00

Output
* SG: I-42m
* energy relative to the elements, uncorrected: -2.705 eV/atom
* V: 11.7 A^3/atom

# RbTlCl3

A geometry-optimized RbTlCl3 structure (PBE-GGA, the Alexandria database).

Cell lengths 6.6359, 6.6359, 6.6359 Å; angles 83.82, 83.82, 83.82 degrees
With the nearest neighbours (Å) after each atom.
Sites, in units of the cell vectors:
Cl 0.8477 0.8477 0.2922  1 Tl 2.62
Cl 0.2922 0.8477 0.8477  1 Tl 2.62
Cl 0.8477 0.2922 0.8477  1 Tl 2.62
Rb 0.7895 0.7895 0.7895  6 Cl 3.27-3.47
Tl 0.0980 0.0980 0.0980  3 Cl 2.62

Output
* SG: R3m
* energy relative to the elements, uncorrected: -1.080 eV/atom
* V: 57.5 A^3/atom

# Hf4AgI2

A geometry-optimized Hf4AgI2 structure (PBE-GGA, the Alexandria database).

Cell lengths 5.1752, 5.1752, 8.0526 Å; angles 71.26, 71.26, 90.00 degrees
With the nearest neighbours (Å) after each atom.
Sites, in units of the cell vectors:
I 0.6125 0.6125 0.7751  5 Hf 2.82-3.05
I 0.3875 0.3875 0.2249  5 Hf 2.82-3.05
Hf 0.8088 0.8088 0.3823  1 Ag 2.74, 1 I 2.82
Hf 0.5000 0.0000 0.0000  2 Ag 2.59
Hf 0.0000 0.5000 0.0000  2 Ag 2.59
Hf 0.1912 0.1912 0.6177  1 Ag 2.74, 1 I 2.82
Ag 0.0000 0.0000 0.0000  6 Hf 2.59-2.74

Output
* SG: I4/mmm
* energy relative to the elements, uncorrected: 0.862 eV/atom
* V: 27.4 A^3/atom

# Sm5ErIn2

A geometry-optimized Sm5ErIn2 structure (PBE-GGA, the Alexandria database).

Cell lengths 3.6107, 8.4998, 8.4998 Å; angles 79.81, 77.74, 77.74 degrees
With the nearest neighbours (Å) after each atom.
Sites, in units of the cell vectors:
Er 0.0000 0.0000 0.0000  4 In 3.37, 2 Er 3.61
Sm 0.3629 0.8594 0.4148  3 In 3.23-3.47, 7 Sm 3.41-3.61
Sm 0.3629 0.4148 0.8594  3 In 3.23-3.47, 7 Sm 3.41-3.61
Sm 0.6371 0.1406 0.5852  3 In 3.23-3.47, 7 Sm 3.41-3.61
Sm 0.0000 0.5000 0.5000  2 In 3.42, 10 Sm 3.48-3.61
Sm 0.6371 0.5852 0.1406  3 In 3.23-3.47, 7 Sm 3.41-3.61
In 0.7272 0.7728 0.7728  7 Sm 3.23-3.47, 2 Er 3.37, 2 In 3.61
In 0.2728 0.2272 0.2272  7 Sm 3.23-3.47, 2 Er 3.37, 2 In 3.61

Output
* SG: Immm
* V: 30.8 A^3/atom
* formation enthalpy at 0 K: -0.15 eV/atom
* distance to the lowest polymorph of the same formula: 92 kJ/mol of formula units

We obtain total magnetic moment values of 9.747, 0.001, 0.000, 1.000, 1.547, 0.001 μB/cell for the records listed above, in that order.

**Completed**
# NaCaV

A geometry-optimized NaCaV structure (PBE-GGA, the Alexandria database).

Cell lengths 5.7190, 5.7190, 11.7961 Å; angles 90.00, 90.00, 120.00 degrees
With the nearest neighbours (Å) after each atom.
Sites, in units of the cell vectors:
V 0.0000 0.0000 0.5000  2 Ca 2.95
V 0.0000 0.0000 0.0000  2 Ca 2.95
Ca 0.0000 0.0000 0.7500  2 V 2.95, 3 Na 3.30
Ca 0.0000 0.0000 0.2500  2 V 2.95, 3 Na 3.30
Na 0.6667 0.3333 0.7500  3 Ca 3.30
Na 0.3333 0.6667 0.2500  3 Ca 3.30

Output
* SG: P6_3/mmc
* V: 55.7 A^3/atom
* formation enthalpy at 0 K: 1.76 eV/atom
* distance to the lowest polymorph of the same formula: 431 kJ/mol of formula units

# CdOsPb2

A geometry-optimized CdOsPb2 structure (PBE-GGA, the Alexandria database).

Cell lengths 10.6816, 10.6816, 10.6816 Å; angles 17.71, 17.71, 17.71 degrees
With the nearest neighbours (Å) after each atom.
Sites, in units of the cell vectors:
Cd 0.2500 0.2500 0.2500  6 Cd 3.29, 6 Pb 3.64
Pb 0.0152 0.0152 0.0152  3 Os 2.87
Pb 0.4848 0.4848 0.4848  3 Os 2.87
Os 0.7500 0.7500 0.7500  6 Pb 2.87

Output
* SG: R-3m
* V: 24.6 A^3/atom
* formation enthalpy at 0 K: 0.56 eV/atom

# Li2CaTiO4

A geometry-optimized Li2CaTiO4 structure (PBE-GGA, the Alexandria database).

Cell lengths 5.2012, 5.0400, 5.0400 Å; angles 86.28, 58.94, 58.94 degrees
With the nearest neighbours (Å) after each atom.
Sites, in units of the cell vectors:
Ti 0.0000 0.5000 0.5000  4 O 1.84
O 0.5808 0.5640 0.8552  1 Ti 1.84, 2 Li 2.00
O 0.4192 0.1448 0.4360  1 Ti 1.84, 2 Li 2.00
O 0.0000 0.8552 0.5640  1 Ti 1.84, 2 Li 2.00
O 0.0000 0.4360 0.1448  1 Ti 1.84, 2 Li 2.00
Ca 0.0000 0.0000 0.0000  4 O 2.36
Li 0.5000 0.2500 0.7500  4 O 2.00
Li 0.5000 0.7500 0.2500  4 O 2.00

Output
* SG: I-42m
* energy relative to the elements, uncorrected: -2.705 eV/atom
* V: 11.7 A^3/atom

# RbTlCl3

A geometry-optimized RbTlCl3 structure (PBE-GGA, the Alexandria database).

Cell lengths 6.6359, 6.6359, 6.6359 Å; angles 83.82, 83.82, 83.82 degrees
With the nearest neighbours (Å) after each atom.
Sites, in units of the cell vectors:
Cl 0.8477 0.8477 0.2922  1 Tl 2.62
Cl 0.2922 0.8477 0.8477  1 Tl 2.62
Cl 0.8477 0.2922 0.8477  1 Tl 2.62
Rb 0.7895 0.7895 0.7895  6 Cl 3.27-3.47
Tl 0.0980 0.0980 0.0980  3 Cl 2.62

Output
* SG: R3m
* energy relative to the elements, uncorrected: -1.080 eV/atom
* V: 57.5 A^3/atom

# Hf4AgI2

A geometry-optimized Hf4AgI2 structure (PBE-GGA, the Alexandria database).

Cell lengths 5.1752, 5.1752, 8.0526 Å; angles 71.26, 71.26, 90.00 degrees
With the nearest neighbours (Å) after each atom.
Sites, in units of the cell vectors:
I 0.6125 0.6125 0.7751  5 Hf 2.82-3.05
I 0.3875 0.3875 0.2249  5 Hf 2.82-3.05
Hf 0.8088 0.8088 0.3823  1 Ag 2.74, 1 I 2.82
Hf 0.5000 0.0000 0.0000  2 Ag 2.59
Hf 0.0000 0.5000 0.0000  2 Ag 2.59
Hf 0.1912 0.1912 0.6177  1 Ag 2.74, 1 I 2.82
Ag 0.0000 0.0000 0.0000  6 Hf 2.59-2.74

Output
* SG: I4/mmm
* energy relative to the elements, uncorrected: 0.862 eV/atom
* V: 27.4 A^3/atom

# Sm5ErIn2

A geometry-optimized Sm5ErIn2 structure (PBE-GGA, the Alexandria database).

Cell lengths 3.6107, 8.4998, 8.4998 Å; angles 79.81, 77.74, 77.74 degrees
With the nearest neighbours (Å) after each atom.
Sites, in units of the cell vectors:
Er 0.0000 0.0000 0.0000  4 In 3.37, 2 Er 3.61
Sm 0.3629 0.8594 0.4148  3 In 3.23-3.47, 7 Sm 3.41-3.61
Sm 0.3629 0.4148 0.8594  3 In 3.23-3.47, 7 Sm 3.41-3.61
Sm 0.6371 0.1406 0.5852  3 In 3.23-3.47, 7 Sm 3.41-3.61
Sm 0.0000 0.5000 0.5000  2 In 3.42, 10 Sm 3.48-3.61
Sm 0.6371 0.5852 0.1406  3 In 3.23-3.47, 7 Sm 3.41-3.61
In 0.7272 0.7728 0.7728  7 Sm 3.23-3.47, 2 Er 3.37, 2 In 3.61
In 0.2728 0.2272 0.2272  7 Sm 3.23-3.47, 2 Er 3.37, 2 In 3.61

Output
* SG: Immm
* V: 30.8 A^3/atom
* formation enthalpy at 0 K: -0.15 eV/atom
* distance to the lowest polymorph of the same formula: 92 kJ/mol of formula units

We obtain total magnetic moment values of 9.747, 0.001, 0.000, 1.000, 1.547, 0.001 μB/cell for the records listed above, in that order.